What is needed: find the line below that holds "-0.63 0.31", then quote that line and all lines after it there.

____________
Below is the molecule CHF2NO at a distorted geometry, with properties calculated with ωB97M-V/def2-TZVPD.

Structure (ORCA input):
```
! RIJCOSX wB97M-V def2-TZVPD def2/J DEFGRID3
* xyz 0 1
C -0.63 0.31 0.24
N 0.50 -0.33 -0.22
O -0.80 0.86 1.25
F -1.49 0.23 -0.72
F 1.51 -0.64 0.62
H 0.91 -0.43 -1.17
*
```

Summary:
HOMO energy, eV: -10.9
LUMO level, eV: 0.70
Energy above the lowest of the compared OMol25 structures with the same formula, charge and spin, kcal/mol: 2.86
SMILES string: O=C(F)NF
Gap between HOMO and LUMO, eV: 11.570



Below is a cluster of 2 separate species, HO2S2 in total at a distorted geometry, with properties calculated with ωB97M-V/def2-TZVPD.

Structure (ORCA input):
```
! RIJCOSX wB97M-V def2-TZVPD def2/J DEFGRID3
* xyz -1 1
O -2.28 -1.05 1.48
O -2.42 -1.46 -1.00
S -3.28 1.16 -0.09
S -2.13 -0.51 0.11
H 0.57 -0.18 -0.47
*
```

Summary:
HOMO energy (alpha / beta), eV: -4.2 / -4.0
LUMO level (alpha / beta), eV: 2.84 / 2.66
Energy above the lowest of the compared OMol25 structures with the same formula, charge and spin, kcal/mol: 62.79
Gap between HOMO and LUMO (alpha / beta), eV: 7.013 / 6.656



Below is a structure of composition C36H34Cl2IN6O5SZr at a distorted geometry, with properties calculated with ωB97M-V/def2-TZVPD.

Structure (ORCA input):
```
! RIJCOSX wB97M-V def2-TZVPD def2/J DEFGRID3
* xyz -1 1
Zr 0.59 -0.72 0.20
C -3.68 -5.03 0.41
C -3.89 -3.85 -0.48
N -5.08 -3.89 -1.27
C -5.73 -2.87 -1.66
C -5.48 -1.40 -1.41
C -6.60 -0.42 -1.59
O -7.37 -0.26 -0.40
C -4.25 -1.13 -1.05
C -2.51 -0.16 0.41
N -1.47 0.19 1.28
C -1.52 1.29 2.06
C -2.37 2.40 1.84
C -2.35 3.50 2.68
C -1.49 3.56 3.77
C -0.63 2.49 4.01
C -0.66 1.38 3.19
I 0.59 -0.25 3.59
C -3.15 -2.75 -0.57
O -1.04 -1.37 -0.67
H -4.63 -5.55 0.55
H -3.30 -4.71 1.38
H -2.97 -5.74 -0.02
H -6.62 -3.08 -2.26
H -7.30 -0.79 -2.35
H -6.20 0.53 -1.93
H -6.77 -0.02 0.31
H -3.47 0.26 0.65
H -3.03 2.38 0.98
H -3.01 4.33 2.48
H -1.47 4.43 4.42
H 0.04 2.51 4.85
C 6.19 -1.39 1.86
C 6.10 -0.93 0.41
N 5.34 0.30 0.27
C 6.09 1.55 0.43
C 6.36 2.25 -0.89
C 4.00 0.33 0.14
S 3.19 -1.20 -0.03
N 3.49 1.57 0.05
C 2.24 1.87 0.35
O 1.42 1.08 0.91
C 1.79 3.27 0.17
C 0.45 3.49 -0.14
C -0.01 4.80 -0.24
C 0.85 5.86 -0.01
C 2.18 5.63 0.30
C 2.66 4.33 0.38
H 6.75 -2.32 1.94
H 5.19 -1.56 2.26
H 6.68 -0.63 2.49
H 5.64 -1.70 -0.19
H 7.10 -0.74 0.01
H 7.04 1.29 0.92
H 5.55 2.21 1.10
H 6.88 1.58 -1.58
H 6.98 3.13 -0.74
H 5.42 2.55 -1.35
H -0.20 2.65 -0.32
H -1.05 4.98 -0.50
H 0.48 6.88 -0.08
H 2.85 6.46 0.48
H 3.69 4.13 0.61
O 0.82 -2.83 -1.16
C 0.72 -3.46 -0.10
C 1.16 -4.90 0.09
C 0.89 -5.14 1.56
C 0.29 -3.82 2.06
O -0.09 -3.66 3.20
N 0.24 -2.89 1.04
H 2.21 -4.97 -0.18
H 0.60 -5.54 -0.59
H 1.79 -5.34 2.14
H 0.18 -5.95 1.76
Cl -2.55 -1.23 -0.82
C -2.23 -0.67 -2.39
C -2.81 -1.05 -3.59
C -2.74 -0.25 -4.71
C -2.00 0.95 -4.64
C -1.18 1.22 -3.59
Cl -0.14 2.62 -3.69
C -1.00 0.34 -2.44
N 0.02 0.42 -1.68
H -3.39 -1.97 -3.64
H -3.28 -0.52 -5.61
H -2.02 1.65 -5.47
*
```

Summary:
HOMO energy, eV: -3.1
LUMO level, eV: 2.18
Energy above the lowest of the compared OMol25 structures with the same formula, charge and spin, kcal/mol: 511.79
Gap between HOMO and LUMO, eV: 5.316



Below is a cluster of 12 separate species, H23O12 in total at a distorted geometry, with properties calculated with ωB97M-V/def2-TZVPD.

Structure (ORCA input):
```
! RIJCOSX wB97M-V def2-TZVPD def2/J DEFGRID3
* xyz -1 1
O -0.36 -1.41 -1.00
H -0.10 -2.22 -0.55
H 3.99 1.79 -0.90
O 1.42 2.94 -1.34
H 1.49 2.27 -0.64
H 0.58 2.60 -1.68
O -4.12 -2.03 -0.85
H -3.38 -2.64 -0.82
O 4.48 1.55 -1.68
H -1.55 -0.55 -0.20
H 4.34 0.65 -1.96
O -0.12 -0.49 2.51
H -0.43 0.27 2.06
H -0.58 -2.08 -2.29
O -2.75 -0.65 3.87
H -1.89 -0.96 3.56
H -4.58 -2.26 -0.04
O -2.18 -0.25 0.50
H -2.66 0.51 0.18
H -3.03 -0.20 3.08
O 1.44 1.70 1.24
H 1.43 0.77 1.19
H 2.26 1.99 1.65
O -0.76 1.56 -2.63
H -1.15 1.71 -1.76
H -1.08 0.64 -2.71
O 2.06 -0.77 -2.01
H 2.05 -1.39 -2.75
H 1.28 -1.09 -1.49
O 1.84 0.82 4.50
H 1.24 0.07 4.59
H 1.37 1.46 3.95
O -0.71 -2.69 -3.14
____________

C -0.63 0.31 0.24
N 0.50 -0.33 -0.22
O -0.80 0.86 1.25
F -1.49 0.23 -0.72
F 1.51 -0.64 0.62
H 0.91 -0.43 -1.17
*
```

Summary:
HOMO energy, eV: -10.9
LUMO level, eV: 0.70
Energy above the lowest of the compared OMol25 structures with the same formula, charge and spin, kcal/mol: 2.86
SMILES string: O=C(F)NF
Gap between HOMO and LUMO, eV: 11.570



Below is a cluster of 2 separate species, HO2S2 in total at a distorted geometry, with properties calculated with ωB97M-V/def2-TZVPD.

Structure (ORCA input):
```
! RIJCOSX wB97M-V def2-TZVPD def2/J DEFGRID3
* xyz -1 1
O -2.28 -1.05 1.48
O -2.42 -1.46 -1.00
S -3.28 1.16 -0.09
S -2.13 -0.51 0.11
H 0.57 -0.18 -0.47
*
```

Summary:
HOMO energy (alpha / beta), eV: -4.2 / -4.0
LUMO level (alpha / beta), eV: 2.84 / 2.66
Energy above the lowest of the compared OMol25 structures with the same formula, charge and spin, kcal/mol: 62.79
Gap between HOMO and LUMO (alpha / beta), eV: 7.013 / 6.656



Below is a structure of composition C36H34Cl2IN6O5SZr at a distorted geometry, with properties calculated with ωB97M-V/def2-TZVPD.

Structure (ORCA input):
```
! RIJCOSX wB97M-V def2-TZVPD def2/J DEFGRID3
* xyz -1 1
Zr 0.59 -0.72 0.20
C -3.68 -5.03 0.41
C -3.89 -3.85 -0.48
N -5.08 -3.89 -1.27
C -5.73 -2.87 -1.66
C -5.48 -1.40 -1.41
C -6.60 -0.42 -1.59
O -7.37 -0.26 -0.40
C -4.25 -1.13 -1.05
C -2.51 -0.16 0.41
N -1.47 0.19 1.28
C -1.52 1.29 2.06
C -2.37 2.40 1.84
C -2.35 3.50 2.68
C -1.49 3.56 3.77
C -0.63 2.49 4.01
C -0.66 1.38 3.19
I 0.59 -0.25 3.59
C -3.15 -2.75 -0.57
O -1.04 -1.37 -0.67
H -4.63 -5.55 0.55
H -3.30 -4.71 1.38
H -2.97 -5.74 -0.02
H -6.62 -3.08 -2.26
H -7.30 -0.79 -2.35
H -6.20 0.53 -1.93
H -6.77 -0.02 0.31
H -3.47 0.26 0.65
H -3.03 2.38 0.98
H -3.01 4.33 2.48
H -1.47 4.43 4.42
H 0.04 2.51 4.85
C 6.19 -1.39 1.86
C 6.10 -0.93 0.41
N 5.34 0.30 0.27
C 6.09 1.55 0.43
C 6.36 2.25 -0.89
C 4.00 0.33 0.14
S 3.19 -1.20 -0.03
N 3.49 1.57 0.05
C 2.24 1.87 0.35
O 1.42 1.08 0.91
C 1.79 3.27 0.17
C 0.45 3.49 -0.14
C -0.01 4.80 -0.24
C 0.85 5.86 -0.01
C 2.18 5.63 0.30
C 2.66 4.33 0.38
H 6.75 -2.32 1.94
H 5.19 -1.56 2.26
H 6.68 -0.63 2.49
H 5.64 -1.70 -0.19
H 7.10 -0.74 0.01
H 7.04 1.29 0.92
H 5.55 2.21 1.10
H 6.88 1.58 -1.58
H 6.98 3.13 -0.74
H 5.42 2.55 -1.35
H -0.20 2.65 -0.32
H -1.05 4.98 -0.50
H 0.48 6.88 -0.08
H 2.85 6.46 0.48
H 3.69 4.13 0.61
O 0.82 -2.83 -1.16
C 0.72 -3.46 -0.10
C 1.16 -4.90 0.09
C 0.89 -5.14 1.56
C 0.29 -3.82 2.06
O -0.09 -3.66 3.20
N 0.24 -2.89 1.04
H 2.21 -4.97 -0.18
H 0.60 -5.54 -0.59
H 1.79 -5.34 2.14
H 0.18 -5.95 1.76
Cl -2.55 -1.23 -0.82
C -2.23 -0.67 -2.39
C -2.81 -1.05 -3.59
C -2.74 -0.25 -4.71
C -2.00 0.95 -4.64
C -1.18 1.22 -3.59
Cl -0.14 2.62 -3.69
C -1.00 0.34 -2.44
N 0.02 0.42 -1.68
H -3.39 -1.97 -3.64
H -3.28 -0.52 -5.61
H -2.02 1.65 -5.47
*
```

Summary:
HOMO energy, eV: -3.1
LUMO level, eV: 2.18
Energy above the lowest of the compared OMol25 structures with the same formula, charge and spin, kcal/mol: 511.79
Gap between HOMO and LUMO, eV: 5.316



Below is a cluster of 12 separate species, H23O12 in total at a distorted geometry, with properties calculated with ωB97M-V/def2-TZVPD.

Structure (ORCA input):
```
! RIJCOSX wB97M-V def2-TZVPD def2/J DEFGRID3
* xyz -1 1
O -0.36 -1.41 -1.00
H -0.10 -2.22 -0.55
H 3.99 1.79 -0.90
O 1.42 2.94 -1.34
H 1.49 2.27 -0.64
H 0.58 2.60 -1.68
O -4.12 -2.03 -0.85
H -3.38 -2.64 -0.82
O 4.48 1.55 -1.68
H -1.55 -0.55 -0.20
H 4.34 0.65 -1.96
O -0.12 -0.49 2.51
H -0.43 0.27 2.06
H -0.58 -2.08 -2.29
O -2.75 -0.65 3.87
H -1.89 -0.96 3.56
H -4.58 -2.26 -0.04
O -2.18 -0.25 0.50
H -2.66 0.51 0.18
H -3.03 -0.20 3.08
O 1.44 1.70 1.24
H 1.43 0.77 1.19
H 2.26 1.99 1.65
O -0.76 1.56 -2.63
H -1.15 1.71 -1.76
H -1.08 0.64 -2.71
O 2.06 -0.77 -2.01
H 2.05 -1.39 -2.75
H 1.28 -1.09 -1.49
O 1.84 0.82 4.50
H 1.24 0.07 4.59
H 1.37 1.46 3.95
O -0.71 -2.69 -3.14